Human Rights
“The ma be ti w e we ar po l to p e n in t e, bu t e mu ne be a ti w e we fa to p o s .” – Eli Wi s Works Cited “Equality.” Comprehend , Accessed 7 Mar. 2018. Equality . WP Clipart ,
Table of Contents eir Rights are our Rights, by Sam Waddell In this article I talk about how black people are considered criminals before they commit a crime Facing Daily Challenges, by Carla Dos Ramos Hernandez In this article I talk about how people with disabilities are getting discriminated and bullied because of their looks. Disabilities In Sports, by Lamis Vattoth People are being discriminated against just for their disabilities, and the abilities they do have are being ignored. Article, by Samuel Perilla In this article I talk about sportsmanship. Disabilities, by Ahmad Hassan In this article I talk about disabilities African-Americans, by Yara Zorkot
Their Rights Are Our Rights By Sam Waddell
“Achievement has no color,” Abraham Lincoln the sixteenth president said in a public speech against racism. He said this meaning that people of any color have the right to succeed. If they can’t succeed; we are not succeeding. People of any color should at least think they can succeed, however it is not uncommon for people to think they can or can’t succeed based on their color.
A Universal Right African American children should have the right to think they can succeed. Black people are often seen as criminals and are often falsely accused of something they haven’t done yet. If they have done something wrong the judge or police will be firmer than if it was a white who committed the same crime. Teachers may also think that they are criminals even though they haven’t done anything wrong this can lead to less participation and/or worse grades. People who have self‐confidence and think they can succeed usually do, however when they don’t they are more likely to fail and that weakens their school experience. Teachers often lower their confidence by acting as if they are criminals and they are judged by actions they haven’t taken yet. In a newsela article Morris states "The criminalization of Black girls is much more than a street has extended into our schools, disrupting one of the most important protective factors in a girl's life: her education." Overall, we can’t just take these people’s educations away because their color tells of crimes in store for their future. That's not how whites are judged in school, and it shouldn’t be how blacks are judged in school. Education is a basic right for anyone of any color. People with no education will not have opportunities that most people would call a right. If everybody had the opportunity to expand their idea; we would have many more good ideas.
Are Police Helping? The thought of all black people will commit crimes within their lifetime is inhumane and not fair. Because of this common stereotype court is harder on blacks than whites. A newsela article states this about black lives matter an activist group “The activist group has drawn the nation's attention to the stories of African‐American men killed by police. Michael Brown, Eric Garner, Tamir Rice and other victims have become symbols of discrimination.” We cannot allow this to continue because we know the problem of discrimination, and knowing the problem is the first step of solving it. The police cannot be showing racism if they are representing America. We should be more carefully choosing our law enforcement; they are supposed to be showing values that we want to represent our country.
Conclusion Someone of a different race than you has the same rights as you. Taking their rights and freedom for being different cannot be tolerated. The fall of discrimination starts with us all going out of our way to meet someone in a different race and the getting to know them well.
Facing Daily Challenges By Carla Dos Ramos Hernandez Disabilities Over one billion people in the world live with some sort of disability. 50% of disabled people cannot afford health care. They have to apply for 60% more jobs than nondisabled people before finding one. The fact that it takes so much longer for disabled people to find jobs than others is very unfair. Many disabled people also get discriminated in sports, and art. They are also bullied very often . They should not be treated differently than non disabled people, and they should have the same access to things. People with disabilities very often get discriminated against in different sports. According to newsela , 6year old Rosie McRackan is missing her left forearm and her entire right leg. To play baseball, she wears a prosthetic leg specially made for running. Rosie has always believed that life is about beating the odds. She is in a team where kids with disabilities are welcome to play. Her team, the Blue Jays, are part of an Inclusion Services program, in which children with disabilities play on traditional teams. What the Blue Jays did was a very good idea because it helps people with disabilities feel like any other person, it makes them feel like they are not any different than anyone else. It also makes them realize that even though they are disabled, they can still follow their dreams and they can still do what they have always wanted to do. Women, men , young girls , and young boys, often go through a lot and think that they can never do what they have always wanted to do. Little 7 year old Shah Bibi from Afghanistan loved art but the only problem was that she was missing her right arm. She decided to go to the doctors and started to see a therapist. The doctors decided to give her an artificial arm that would change her life, but what they didn't know was that just a few weeks after strapping on her new arm she would be holding a paintbrush and making amazing paintings. She also has a missing eye and has many scars because of an explosion that hit her face. Along with that her brother that was also killed. The doctors are hoping to see her again the following year to give her a prosthetic eye. It is amazing how a 7 year old can go
through a war and be hit by an explosion and have her brother killed and still be okay. I know that if I were her age I would not be as strong as her while going through all of the things that she has been through. It is great that she has a lot of people supporting her and helping her. Bullies People with disabilities face bullying every single day. In these cases, bullying is not just serious, it can mean life or death. They get called names, made fun of how they look , and sometimes even get beat up. It is not okay that kids wake up in the morning already knowing what is going to happen that same day and once they get to school they start to get made fun of or even beat up. Every day they get home crying because of everything they were told by the bullies and the school still doesn't do anything about it. Imagine how you would feel if you were the one getting bullied and you didn't know what to do or who to tell. Every child should not have to live a life not wanting to go to school because they know the that they are going to be made fun of by the same people just like every other day. Disabled people should not be treated different than non disabled people, and they should have the same access to things. Many of them also get discriminated in sports, and art. They also very often get bullied and this is not okay. If you were to be walking around and you happen to see somebody getting bullied and getting made fun of or being discriminated you should say something and don’t ignore it . If you walk away and ignore think of it as if the person getting made fun of is somebody that you are very close. What would you do now? Would you say something or not? Although even if they are not close friends or if you don't even know them you should still step up and say something. If you see something, you must stop something. If you see something, must say something.
"Bullying and Handicap Children." Bully Buster , 11 Sept. 2012. Accessed 7 Mar. 2018.
Rogers, John. "Afghan Girl Who Lost Arm Paints with Prosthetic." Medical Press , 3 Apr. 2014, 201404afghangirllostarmprosthetic.html. Accessed 7 Mar. 2018.
Disabilities in Sports
By Lamis Vattoth
“Everybody is a genius. But if you judge a fish by its ability to climb a tree, it will live its whole life believing it is stupid.” Albert Einstein is widely credited for saying this quote, though it is likely he never said it. Nonetheless, this quote can relate to many things, but disabilities is one of them. If disabled people are judged merely for their disabilities, and not appreciated for their abilities, then they will potentially live out their lives believing the abilities they do have aren’t good enough. These abilities that they have make them fully capable of doing most of the things non disabled people can do such as sports. Some people might think being “good” at sports requires having legs and being able to see, but that is just simply not true; people with disabilities are fully capable of doing the things nondisabled people can do, and sports is an area where they can prove it. One sport where disabled people have shown their potential in is wrestling. Hassan Hawthorne was born without lower leg bones, which would enable him to stand. Both of his legs were amputated when he was at the mere age of four months old, and replaced with prosthetics. He loved wrestling and started doing the sport when he was in 6th grade. Despite his legs not being real, at the age of 18 years old, he was still able to pull through and beat every wrestler he competed against in a school competition in Huntsville, Alabama. In 2016, he was named Alabama’s most valued wrestler. Some might argue that he had an advantage over his opponents since he had no legs and it would be harder for them to grab him, however, due to his lack of real legs, he can not arch his back in an attempt to avoid being pinned by his opponent. This story is important because it is just one of many proving the amazing things people with disabilities can do. A boy with nubs for legs was named Alabama’s most valued wrestler. Another example of disabled people showing their talent in sports is Jake Olson. He lost his sight due to cancer while he was in high school. However, he always had a dream to play football. His mom and his coach had their
doubts, but he proved them wrong. After he was finally chosen to play as the Orange Lutherans’ long snapper, he tied a game against Servite High. His snap and kick were perfect, as a result of all of his hard work. Olson’s story is also important because it is an example of a disability not holding someone back from doing what they love. Some people might say him playing is dangerous. Afterall, 53% of American adults surveyed by the Washington Post and the University of Massachusetts Lowell “ feel tackle football before high school is not a safe activity”, and it can only be assumed that 53% would be even more against a blind boy playing. However, as stated in Newsela, “T eammates guide Olson onto the field. Then they help him line up with the ball. Other than that, Olson is no different from any other player ”. Despite his disability, he has the same chance of getting hurt as any other player on his team, but that slim chance probably doesn’t bother him. In conclusion, people’s disabilities should not restrain them from doing what they love and are good at. If you ever see a disabled person trying to do something such as a blind man about to run into something or a person in a wheelchair not being able to get through a door help them out. The littlest things can brighten a person’s whole day, even if it is something as small as holding open a door or even giving them a quick smile. Even if you’re in a public setting, don’t assume someone else will do it. What if no one does? If you’re ever having trouble, wouldn’t you want someone to step in and help you? Not just that, but helping people raises dopamine levels and overall boosts your mood. Let people know that they’re not alone. Sources (for images): Hassan Hawthorne Wrestling . People , hasaanhawthorneteenwhohadbothlegsamputatedwinsstatewrestlingtitle/. USC’s Jake Olson tried to suppress his emotions during game . EBL News , uscsjakeolsontriedsuppresshisemotionsduringgame198657.
By Samuel Perilla “There is no greater disability in society than the inability to see a person as more” said Robert M. Hensel. He was born with a birth defect known as Spina Bifida and is a Guinness Worlds Records holder for the longest nonstop wheelie in a wheelchair covering a distance of 6.178 miles. This quote explains that people with disabilities get a lot of hate around the world. This should not happen and these are the types of things that make people change their minds. No one should suffer from disability. What I mean is that lots of people get discriminated and judged around the world, just because they are disabled. Even disabled people do great things, that shows us that disabled people have to be treated with more respect. Being disabled is not something bad, it’s something you can use to make you stronger. Jake Olson is a blind man that plays american football for the USC Trojans and he is a long snapper. Disability is not something to suffer from, it’s something to thrive from. It’s hard to play sports when your blind but it’s not impossible, at least for Jake Olson. Jake Olson was born perfectly but he lost his left eye from eye cancer when he was ten months old. Later in his life he started supporting the USC Trojans and his right eye also had to be removed, when he was 12. He spent his last day with sight at a Trojans practice. The next day he would get his eye removed but he spent that day with hope and courage, this inspired many players in the field. Now he is a long snapper for his favorite college football team. A long snapper in american football is a player that hikes the ball in a tight spiral to the holder. The holder then plants the tip of ball on the ground and turns the laces towards the direction of the endzone. He has to do this very quickly because the kicker will be coming in his direction very quickly. The first part of a successful field goal is a good snap. That is Jake Olson’s job, he has been a very successful long snapper. His coaches say that it was first hard to teach him to be a long snapper especially because he could not be taught how to throw the ball. Jake has come a long way since that and now he is the starting long snapper. He is now living happily while blind, most people wouldn’t do that.
Alan Brint is a swimmer, not just any swimmer but he is a blind swimmer. Alan was born blind, but that has not stopped him from swimming. He started swimming at a small age, and has set his personal best at a state meeting. He is living happily and is a really good swimmer. All Alan Brint wants is to be viewed no differently than others. Alan Brint is only wants to get better and better. He did at the state meeting in New Trier.
About 12.9 of the worlds percent is suffering from disabilities. They want to be cured but they are not and the poor people who are disabled will never get cured because poverty reasons and because the hospitals don't cure them so now they just die sadly not having a goal in their life. It is important for disabled people not to lose faith. Because if they do then Then they won't try and that will lead to more problems because they aren't trying and they are thinking that they are different then other people but their not. All people with disabilities should t ry. Stephen hawking is Disabled and his advice was “ My advice to other disabled people is concentrate on what their disabilities does not prevent them from doing well, and don't regret things it interferes with don't be disabled in spirit as well physically” My thinking of the disabled people's privileges is that they are not being treated as the other people so when they want something their wheelchair driver gets it not them I think they should have faith in their self and get up and try,I know how hard it is but they should still do it. People who are disabled Are currently being treated badly due to they can't do things by themselves And their privileges are minimized for example they cant drive. You should try to be proud of yourself not just stay at home and do nothing keep trying to walk trying to do stuff that are hard because I promise you that practice makes progress, like frida kahlo she got famous by painting and that is something hard I mean if you are physically disabled you can create an electron or something that can feed the world and become famous that easy, you can create foods anything that people can use or that will help them the world and become famous. If other people like: Frida kahlo and Dr.Stephen Hawking can do it then you can do it because they tried and did something for the world just because
(1)
This record from the Alexandria database describes a geometry-optimized Sr2SmUO6 structure. The functional is GGA-PBE.

a b c (Å): 8.8192 8.8192 8.8192
angles (deg): 90.00 90.00 90.00
Space group Fm-3m (No. 225)
Inequivalent atoms, fractional coordinates:
Sr 0.2500 0.2500 0.2500 x8
Sm 0.0000 0.0000 0.0000 x4
U 0.0000 0.0000 0.5000 x4
O 0.0000 0.0000 0.2578 x24

The total energy comes out at -319.59 eV/cell. For the magnetization, the calculation gives 4.00 μB/cell. The uncorrected formation energy comes out at -30.78 eV/f.u. The value obtained for the density of states at the Fermi level is 0.456 states/eV per cell. The energy relative to the lowest polymorph listed for this composition is 0.158 eV/atom.

(2)
This record from the Alexandria database describes a geometry-optimized Sr2SmUO6 structure. The functional is GGA-PBE.

a b c (Å): 6.0306 6.1878 10.5178
angles (deg): 90.00 124.92 90.00
Space group P2_1/c (No. 14)
Inequivalent atoms, fractional coordinates:
Sr 0.2389 0.0454 0.2512 x4
Sm 0.5000 0.0000 0.0000 x2
U 0.0000 0.0000 0.5000 x2
O 0.1303 0.2128 0.9398 x4
O 0.2352 0.6921 0.9467 x4
O 0.3450 0.0436 0.7393 x4

The total energy comes out at -162.96 eV/cell. For the magnetization, the calculation gives 2.00 μB/cell. The uncorrected formation energy comes out at -32.36 eV/f.u. The energy relative to the lowest polymorph listed for this composition is 0.000 eV/atom.

Question: Look up the energy relative to the lowest polymorph listed for this composition of the first one.
Answer: 0.158 eV/atom

Question: Which of these has the lowest energy relative to the lowest polymorph listed for this composition?
Answer: number 2

----------

[1]
HoTh2Ni: relaxed, GGA-PBE.

The structure in POSCAR format:
```
HoTh2Ni
1.0
3.652 0.000 0.000
0.000 9.938 0.000
-1.824 0.000 5.859
Ho Th Ni
2 4 2
direct
0.089 0.250 0.180 Ho
0.911 0.750 0.820 Ho
0.365 0.059 0.728 Th
0.365 0.441 0.728 Th
0.635 0.559 0.272 Th
0.635 0.941 0.272 Th
0.217 0.750 0.434 Ni
0.783 0.250 0.566 Ni
```

Summary:
- Volume: 213 Å³ per cell
- Space-group type: P2_1/m (11)
- Relative energy among the computed polymorphs: 0.0 kJ/mol of formula units
- Crystal system: monoclinic

[2]
Ho5ThNi2: relaxed, GGA-PBE.

The structure in POSCAR format:
```
Ho5ThNi2
1.0
6.671 -1.837 0.000
6.671 1.837 0.000
-0.046 0.000 17.712
Ho Th Ni
10 2 4
direct
0.010 0.010 0.250 Ho
0.173 0.173 0.062 Ho
0.173 0.173 0.437 Ho
0.441 0.441 0.410 Ho
0.442 0.442 0.090 Ho
0.558 0.558 0.910 Ho
0.559 0.559 0.590 Ho
0.827 0.827 0.563 Ho
0.827 0.827 0.938 Ho
0.990 0.990 0.750 Ho
0.284 0.284 0.250 Th
0.716 0.716 0.750 Th
0.198 0.198 0.867 Ni
0.199 0.199 0.634 Ni
0.801 0.801 0.366 Ni
0.802 0.802 0.133 Ni
```

Summary:
- Volume: 434 Å³ per cell
- Space-group type: C2/m (12)
- Electronic total energy: -5.38 eV/atom
- Crystal system: monoclinic

----------

The following is a DFT calculation (PBE-GGA) of a relaxed structure of NdHfZn17.

Results
* formation energy from the elements: -157.8 meV/atom
they were disabled they still did something that Fed the world and they did something that made them proud of themselves if they can do it then you can do it too.
African-Americans There are more African-Americans in the world that are more successful than you think there are. Janelle Monae and Misty Copeland are some of them. To be prosperous you don’t need to have a certain background. Janelle Monae is an African-American who’s a musician that began performing when she was a child. Like lots of people, her childhood was filled with poverty and her parents had blue-collar jobs. But the fact that she lived in poverty as a child and is now a worldwide superstar is just incredible. She had said some inspiring words about herself, “I feel myself becoming the fearless person I have dreamt of being. Have I arrived? No. But I’m constantly evolving and challenging myself to be unafraid to make mistakes.” said by Janelle Monae. Just like Janelle Monae, Misty Copeland is also African-American with great Talent.
Misty Copeland is a 33 year old African- American Ballerina from Kansas City, United States, that had opened herself out to the world. Her performances really talk about her background and her difficulties in being an African-American, and that’s why people adore watching her perform. As stated in Pointe, in America, the population of African- American ballerinas are 12.6, and Misty Copeland is one of them. She was discovered by a ballet instructor at the age of 13. Misty was so poor that she’d never seen ballet, heard of ballet, or even knew what it looked like. She even said it herself as stated in the New York Post, “I had no introduction to the arts in any way - definitely not the fine arts,” she said. She spent a few years living in a motel room with her mother and five siblings, hungry and afraid. But today, Misty Copeland is the first black female in two decades to be a soloist at the American Ballet Theatre. In conclusion, just be who you want, become what you want, and don’t let anyone tell you you can’t, because deep down you can. Be proud of who you are and how you look like. There are people out there who get discriminated for certain things, don’t be one of those people who stop people from doing what they like. And if you ever see someone getting cut from doing something, stop it immediately. You never know, you might become just like Janelle Monae, or Misty Copeland.